As Angela Merkel is feted on her farewell tour after nearly 16 years as German chancellor does longevity assure her a place in the pantheon of great post-war political leaders who forged and enhanced the European project?
Will her legacy match pioneers such as Konrad Adenauer, Alcide de Gaspari or Robert Schuman or their successors such as Helmut Kohl, Francois Mitterand, Jacques Delor, Simone Veil or even Margaret Thatcher – all of whom played important roles in pushing the EU to its high water mark in the late 1990s?
# The article is interrupted by crystal structures
- - -
# 1
This entry pairs a crystal structure of HfCuPtRh with its theoretical powder diffractogram. Radiation: Cu Kα X-rays. Structure: a GGA-PBE-relaxed structure.

Atomic structure:
abc: 3.702 3.982 4.163
angles: 90.00 90.00 90.00
Element x y z (fractional)
Hf1 0.000 0.000 0.000
Cu1 0.000 0.500 0.500
Pt1 0.500 0.000 0.500
Rh1 0.500 0.500 0.000

Principal peaks in the range 10 to 90 degrees two-theta, sorted by position:
two_theta	d/Å	intensity
22.33	3.982	13
39.67	2.272	100
43.47	2.082	19
45.56	1.991	17
49.23	1.851	13
64.80	1.439	12
77.23	1.235	14
80.22	1.197	13
85.48	1.136	11
85.65	1.134	11

=====

# 2
This entry pairs a crystal structure of HfCuRuPt with its theoretical powder diffractogram. Radiation: Cu Kα X-rays. Structure: a GGA-PBE-relaxed structure.

Atomic structure:
abc: 3.717 3.973 4.146
angles: 90.00 90.00 90.00
Element x y z (fractional)
Hf1 0.000 0.000 0.000
Cu1 0.000 0.500 0.500
Ru1 0.500 0.500 0.000
Pt1 0.500 0.000 0.500

Principal peaks in the range 10 to 90 degrees two-theta, sorted by position:
two_theta	d/Å	intensity
22.38	3.973	14
32.35	2.767	11
39.69	2.271	100
43.66	2.073	19
45.67	1.987	17
49.02	1.858	14
65.02	1.434	12
77.51	1.232	14
80.38	1.195	13
85.35	1.137	11

=====

# 3
This entry pairs a crystal structure of RbHfCu3Se4 with its theoretical powder diffractogram. Radiation: Cu Kα X-rays. Structure: a GGA-PBE-relaxed structure.

Atomic structure:
abc: 6.324 6.324 6.324
angles: 90.00 90.00 90.00
Element x y z (fractional)
Rb1 0.000 0.000 0.000
Hf1 0.500 0.500 0.500
Cu1 0.000 0.500 0.500
Cu2 0.500 0.000 0.500
Cu3 0.500 0.500 0.000
Se1 0.275 0.275 0.725
Se2 0.275 0.725 0.275
Se3 0.725 0.275 0.275
Se4 0.725 0.725 0.725

Principal peaks in the range 10 to 90 degrees two-theta, sorted by position:
two_theta	d/Å	intensity
14.00	6.324	51
19.85	4.472	43
24.38	3.651	49
34.75	2.582	23
40.34	2.236	100
47.70	1.907	19
52.15	1.754	14
54.27	1.690	16
58.37	1.581	15
73.34	1.291	28

=====

# 4
This entry pairs a crystal structure of Rb2Hf2CuSe6 with its theoretical powder diffractogram. Radiation: Cu Kα X-rays. Structure: a GGA-PBE-relaxed structure.

Atomic structure:
abc: 6.759 6.759 8.513
angles: 97.35 97.35 121.23
Element x y z (fractional)
Rb1 0.161 0.839 0.000
Rb2 0.839 0.161 0.000
Hf1 0.330 0.670 0.500
Hf2 0.670 0.330 0.500
Cu1 0.000 0.000 0.500
Se1 0.066 0.404 0.687
Se2 0.263 0.263 0.328
Se3 0.404 0.066 0.687
Se4 0.596 0.934 0.313
Se5 0.737 0.737 0.672
Se6 0.934 0.596 0.313

Principal peaks in the range 10 to 90 degrees two-theta, sorted by position:
two_theta	d/Å	intensity
10.76	8.219	100
16.94	5.235	13
30.17	2.962	94
30.60	2.922	42
36.87	2.438	22
39.57	2.278	26
39.95	2.257	15
46.25	1.963	16
47.17	1.927	30
56.47	1.629	14

=====

# 5
This entry pairs a crystal structure of Hf3CuRe2 with its theoretical powder diffractogram. Radiation: Cu Kα X-rays. Structure: a GGA-PBE-relaxed structure.

Atomic structure:
abc: 3.297 3.297 9.729
angles: 90.00 90.00 90.00
Element x y z (fractional)
Hf1 0.000 0.000 0.000
Hf2 0.000 0.000 0.329
- - -
Indeed when historians broad brush, the EU's 21st century Merkel will stand out as the most influential politician of her time. But when you analyze the key events of her "time'' in office that is when the shine fades. By key events I am talking about two issues that underpin the European economy: energy and the euro.
I would argue most other crucible controversies, including Brexit, immigration, Euroscepticism, Russian relations, eastern European illiberalism and others are all subsets with distinct cause and effect links to energy – in this case the EU dependency on foreign sources such as Russia – and the lost decade tied to the near collapse of the euro.
When I first arrived in Brussels in the mid 1990s as a correspondent covering EU affairs it had become very clear that EU dependency on Russian gas as source of more than 50 percent of its gas needs was a concern. The European Commission highlighted the issue in one of its ubiquitous "communications'' that keep Berlaymont bureaucrats busy. But that was a time when Boris Yelstin's pro-west tilt was still Kremlin policy and budding oligarchs were divvying up the country's industrial and energy resources in what was thought to be part of a transition to a market economy.
Of course that all changed when former KGB agent Vladimir Putin took power in 2000. By the time Merkel took office in 2006 it was clear that Putin was determined to bin democracy in favour of kleptocracy and gas exports piped through Ukraine would be a key weapon to achieve that goal. At the same time the writing was also on the wall about climate change and the need to move away from dirty fossil fuels such as coal.
But two key energy policy decisions taken under Merkel's watch not only enhanced EU and Russian gas dependence but have shadowed the EU's role as world leader in the fight against climate change. Moreover you can draw a fairly straight line from those policy decisions to the current energy price crisis and the holes in the EU claim to be the world leader in the fight against climate change.
The first key and fateful Merkel energy policy decision, of course, was the decision to phase out nuclear power in 2011 after the Fukushima disaster in Japan. That move might have cheered environmentalists and soothed public opinion over safety issues despite more than 50 nuclear power stations operating across the border in France. But clearly the nuclear power move was a knee-jerk reaction – especially for a country with an economy over-dependent on exporting goods manufactured by energy-intensive industries.
Without getting knee-deep into the pros and cons of the nuclear power debate, including waste disposal, the key point is this: in 2021 and with the nuclear power phase out nearing completion, burning coal – the dirtiest and most unhealthy of fossil fuels – currently provides approximately 25 percent of the Germany's power needs.
The fuel source is not targeted for phase out for at least another decade – if not more. Anyone who argues that the nuclear power decision has not prolonged the burning of a fossil fuel that has far more immediate negative environmental, health and social impacts than nuclear power, is simply in denial.
The second decisive energy policy decision taken under Merkel's watch was to move ahead with the Nordstream 2 pipeline that allows Russia and its state-owned gas monopoly Gazprom to bypass Ukraine and Poland in order to transmit gas under the Baltic Sea directly to Germany. Again the negative economic, environmental and geo-political impacts of that decision are with us today more than ever.
Putting aside all the background to the Nordstream 2 decision – and that includes the 2014 decision by Putin to turn off the gas leaving millions of EU citizens without heat - Merkel's refusal to intervene on what she claimed was simply a "commercial'' issue will go down as one of the great blunders of her tenure.
Now to the euro. Or more specifically the 2008 financial crisis and subsequent bank bailouts, sovereign debt defaults, and, most important, a triple dip recession and a lost decade of economic growth – all of which occurred during Merkel's term. Clearly the trigger point for the 2008 financial market meltdown occurred in the United States and its deregulation of the banking industry.
But Merkel and her stalwart finance minister Wolfgang Schauble certainly played a key role in why the crisis dragged on far longer in Europe than it did in the United States.
Instead of recognizing the German banking industry had been as reckless as U.S. financial institutions Merkel and Schauble rebuffed every Obama Administration effort to convince them to follow the U.S. lead and adopt a big bang European bank recapitalization plan. They also rejected a Keynesian demand-side economic approach even when it had become clear it was working on the other side of the Atlantic Ocean.
Instead the German government continued to play the blame game and preach austerity. That might have been appropriate for Greece and a couple of other small EU countries but it certainly was not beneficial for the EU as a whole.
The finger-pointing German response to the crisis was exposed when the vicious cycle between sovereign debt and failing European banks – or the doom loop as it became known - nearly torpedoed the euro. Fortunately ECB President Mario Draghi's "do whatever it takes'' speech in July of 2012 calmed financial markets enough to give the euro zone leaders space to adopt the European Stability Mechanism (ESM) as a backstop that broke the link between banks and sovereign debt.
A key condition that Germany imposed for finally giving its support to the ESM was centralized European bank supervision. It is the first of three pillars in the so-called banking union that still has not been completed nearly a decade later. And the Merkel-led German government has an outsized role in that failure.
From the beginning of the banking union negotiations Germany quickly went from protagonist to antagonist. It imposed inconsistent demands, including an early attempt to exempt its savings and cooperative banks – many of which had required massive government bailouts – from the new EU bank supervisor. The final pillar of the banking union – an EU bank deposit guarantee scheme – is still blocked primarily because of German opposition.
Obviously none of these flaws undermined Merkel's popularity among German voters. So clearly the woman known in Germany as "Mutti'' or mother has had an astute political antenna. Throughout most of parts of the EU her staunch pro-Europe convictions and calm demeanor have been a steadying force against the old and new breed of Trump-style Eurosceptic populists that lurk in her own country as well as in many others.
That said, clearly the European project is on much shakier ground now compared to when she took office.
**These data records were left in the page by mistake**
/*
Structure and calculated X-ray diffraction stick pattern of MgSnP2O7 (a structure optimized by DFT (GGA-PBE); Cu Kα).
Intensities are scaled so that the largest is 100.

Structural model:
```
data_MgSnP2O7
_chemical_formula_sum 'Mg4 Sn4 P8 O28'
_symmetry_space_group_name_H-M 'P 1'
_symmetry_Int_Tables_number 1
_symmetry_space_group_name_Hall 'P 1'
_cell_length_a 7.0988
_cell_length_b 9.4004
_cell_length_c 9.4051
_cell_angle_alpha 90.00
_cell_angle_beta 109.81
_cell_angle_gamma 90.00
loop_
_atom_site_label
_atom_site_fract_x
_atom_site_fract_y
_atom_site_fract_z
Mg1 0.1921 0.0543 0.2970
Mg2 0.1921 0.4457 0.7970
Mg3 0.8079 0.5543 0.2030
Mg4 0.8079 0.9457 0.7030
Sn1 0.2936 0.1073 0.9470
Sn2 0.2936 0.3927 0.4470
Sn3 0.7064 0.6073 0.5530
Sn4 0.7064 0.8927 0.0530
P1 0.0130 0.7051 0.9566
P2 0.0130 0.7949 0.4566
P3 0.4034 0.7428 0.7218
P4 0.4034 0.7572 0.2218
P5 0.5966 0.2428 0.7782
P6 0.5966 0.2572 0.2782
P7 0.9870 0.2051 0.5434
P8 0.9870 0.2949 0.0434
O1 0.0074 0.5962 0.8354
O2 0.0074 0.9038 0.3354
O3 0.0159 0.1411 0.1002
O4 0.0159 0.3589 0.6002
O5 0.1458 0.1781 0.4645
O6 0.1458 0.3219 0.9645
O7 0.2266 0.6814 0.0860
O8 0.2266 0.8186 0.5860
O9 0.3582 0.5843 0.7225
O10 0.3582 0.9157 0.2225
O11 0.4055 0.2264 0.3194
O12 0.4055 0.2736 0.8194
O13 0.4179 0.6790 0.3667
O14 0.4179 0.8210 0.8667
O15 0.5821 0.1790 0.1333
O16 0.5821 0.3210 0.6333
O17 0.5945 0.7264 0.1806
O18 0.5945 0.7736 0.6806
O19 0.6418 0.0843 0.7775
O20 0.6418 0.4157 0.2775
O21 0.7734 0.1814 0.4140
O22 0.7734 0.3186 0.9140
O23 0.8542 0.6781 0.0355
O24 0.8542 0.8219 0.5355
O25 0.9841 0.6411 0.3998
O26 0.9841 0.8589 0.8998
O27 0.9926 0.0962 0.6646
O28 0.9926 0.4038 0.1646
```

Main lines, by intensity (10° ≤ 2θ ≤ 90°):
d/Å  2theta  I_rel  (hkl)
6.443  13.74  100  0 1 1
3.068  29.10  87  2 1 -2
3.226  27.66  80  1 0 2
2.836  31.55  65  1 3 0
2.350  38.30  60  2 2 -3
3.046  29.32  56  1 1 2
3.298  27.03  55  1 2 1
3.807  23.36  53  1 2 -1
5.445  16.28  40  1 1 0
2.958  30.21  39  1 1 -3


Structure and calculated X-ray diffraction stick pattern of MgSnP2O7 (a structure optimized by DFT (GGA-PBE); Cu Kα).
Intensities are scaled so that the largest is 100.

Structural model:
```
data_MgSnP2O7
_chemical_formula_sum 'Mg2 Sn2 P4 O14'
_symmetry_space_group_name_H-M 'P 1'
_symmetry_Int_Tables_number 1
_symmetry_space_group_name_Hall 'P 1'
_cell_length_a 6.6930
_cell_length_b 6.7201
_cell_length_c 7.0007
_cell_angle_alpha 81.97
_cell_angle_beta 87.16
_cell_angle_gamma 65.88
loop_
_atom_site_label
_atom_site_fract_x
_atom_site_fract_y
_atom_site_fract_z
Mg1 0.1705 0.3935 0.1814
Mg2 0.8295 0.6065 0.8186
Sn1 0.3863 0.7438 0.3455
Sn2 0.6137 0.2562 0.6545
P1 0.1654 0.1727 0.6320
P2 0.2668 0.7512 0.8829
P3 0.7332 0.2488 0.1171
P4 0.8346 0.8273 0.3680
O1 0.0591 0.6435 0.3419
O2 0.1256 0.6151 0.9159
O3 0.1404 0.9422 0.7069
O4 0.2298 0.1564 0.4184
O5 0.2670 0.8685 0.0547
O6 0.3373 0.1807 0.7623
O7 0.4998 0.3782 0.1893
O8 0.5002 0.6218 0.8107
O9 0.6627 0.8193 0.2377
O10 0.7330 0.1315 0.9453
*/
By Joe Kirwin